Activity:
Now return all of the material underneath with every line break kept.

Excerpt:
+++
Record 1
The following is a theoretical powder diffractogram of RePCl8O. It was derived from a cell relaxed with GGA-PBE, using Cu Kα (λ = 1.5418 Å).

Structural model:
Unit cell a=16.671 b=8.115 c=8.997 alpha=90.00 beta=90.00 gamma=90.00
Space group Pnma (No. 62)
Unique sites:
Re1 0.147 0.250 0.078 (multiplicity 4)
P1 0.076 0.250 0.715 (multiplicity 4)
Cl1 0.030 0.250 0.215 (multiplicity 4)
Cl2 0.034 0.750 0.366 (multiplicity 4)
Cl3 0.131 0.055 0.630 (multiplicity 8)
Cl4 0.140 0.531 0.056 (multiplicity 8)
Cl5 0.224 0.250 0.284 (multiplicity 4)
Cl6 0.239 0.750 0.424 (multiplicity 4)
O1 0.073 0.250 0.881 (multiplicity 4)

The 8 most intense peaks (2θ from 10° to 80°), in order of rising 2θ:
11.18°, intensity 30; 15.24°, intensity 100; 15.64°, intensity 67; 18.77°, intensity 34; 20.45°, intensity 24; 21.91°, intensity 26; 23.23°, intensity 31; 33.45°, intensity 27

***

Record 2
The following is a theoretical powder diffractogram of RePCl6O3. It was derived from a cell relaxed with GGA-PBE, using Cu Kα (λ = 1.5418 Å).

Structural model:
Unit cell a=6.248 b=12.378 c=13.564 alpha=90.00 beta=99.60 gamma=90.00
Space group P2_1/c (No. 14)
Unique sites:
Re1 0.116 0.207 0.001 (multiplicity 4)
P1 0.410 0.098 0.675 (multiplicity 4)
Cl1 0.040 0.185 0.167 (multiplicity 4)
Cl2 0.157 0.664 0.012 (multiplicity 4)
Cl3 0.186 0.034 0.746 (multiplicity 4)
Cl4 0.397 0.023 0.347 (multiplicity 4)
Cl5 0.414 0.696 0.728 (multiplicity 4)
Cl6 0.429 0.114 0.059 (multiplicity 4)
O1 0.039 0.601 0.551 (multiplicity 4)
O2 0.215 0.238 0.401 (multiplicity 4)
O3 0.318 0.150 0.578 (multiplicity 4)

The 8 most intense peaks (2θ from 10° to 80°), in order of rising 2θ:
13.24°, intensity 77; 14.33°, intensity 100; 16.07°, intensity 88; 17.88°, intensity 66; 19.54°, intensity 100; 20.34°, intensity 60; 21.18°, intensity 45; 30.38°, intensity 59

***

Record 3
The following is a theoretical powder diffractogram of PdPb2Se2Cl2O6. It was derived from a cell relaxed with GGA-PBE, using Cu Kα (λ = 1.5418 Å).

Structural model:
Unit cell a=8.308 b=5.284 c=13.085 alpha=90.00 beta=124.41 gamma=90.00
Space group P2_1/c (No. 14)
Unique sites:
Pd1 0.000 0.000 0.000 (multiplicity 2)
Pb1 0.332 0.051 0.805 (multiplicity 4)
Se1 0.288 0.029 0.522 (multiplicity 4)
Cl1 0.058 0.575 0.693 (multiplicity 4)
O1 0.170 0.194 0.579 (multiplicity 4)
O2 0.433 0.239 0.021 (multiplicity 4)
O3 0.439 0.625 0.162 (multiplicity 4)

The 8 most intense peaks (2θ from 10° to 80°), in order of rising 2θ:
19.93°, intensity 33; 21.47°, intensity 31; 25.34°, intensity 76; 26.52°, intensity 35; 27.86°, intensity 34; 28.07°, intensity 100; 30.05°, intensity 42; 33.93°, intensity 31

=====

Entry 1:
Diffraction record for Al2Zn2S5. The X-ray powder pattern is simulated, not measured: it uses a cell relaxed with GGA-PBE and Cu Kα.
Intensities are scaled so that the largest is 100.

```
Al2Zn2S5
1.0
3.671 0.000 0.000
-1.835 3.179 0.000
0.000 0.000 15.159
Al Zn S
2 2 5
Direct
0.333 0.667 0.173
0.667 0.333 0.827
0.333 0.667 0.599
0.667 0.333 0.401
0.000 0.000 0.500
0.333 0.667 0.316
0.333 0.667 0.892
0.667 0.333 0.108
0.667 0.333 0.684
```

Principal peaks in the range 2θ from 10° to 90°, in order of rising 2θ:
23.5°, 3.790 Å, intensity 29.8; 28.1°, 3.179 Å, intensity 35.4; 30.5°, 2.931 Å, intensity 15.6; 33.3°, 2.691 Å, intensity 100.0; 36.9°, 2.435 Å, intensity 41.5; 49.7°, 1.835 Å, intensity 49.8; 51.0°, 1.790 Å, intensity 56.3; 61.1°, 1.516 Å, intensity 19.8; 74.0°, 1.281 Å, intensity 17.7; 82.5°, 1.169 Å, intensity 23.7

Entry 2:
Diffraction record for Al2ZnS4. The X-ray powder pattern is simulated, not measured: it uses a cell relaxed with GGA-PBE and Cu Kα.
Intensities are scaled so that the largest is 100.

```
Al2ZnS4
1.0
1.843 1.064 23.974
-1.843 1.064 23.974
0.000 -2.128 23.974
Al Zn S
4 2 8
Direct
0.000 0.000 0.000
0.116 0.116 0.116
0.283 0.283 0.283
0.834 0.834 0.834
0.396 0.396 0.396
0.564 0.564 0.564
0.053 0.053 0.053
0.346 0.346 0.346
0.433 0.433 0.433
0.513 0.513 0.513
0.600 0.600 0.600
+++

Written answer:
Record 1
The following is a theoretical powder diffractogram of RePCl8O. It was derived from a cell relaxed with GGA-PBE, using Cu Kα (λ = 1.5418 Å).

Structural model:
Unit cell a=16.671 b=8.115 c=8.997 alpha=90.00 beta=90.00 gamma=90.00
Space group Pnma (No. 62)
Unique sites:
Re1 0.147 0.250 0.078 (multiplicity 4)
P1 0.076 0.250 0.715 (multiplicity 4)
Cl1 0.030 0.250 0.215 (multiplicity 4)
Cl2 0.034 0.750 0.366 (multiplicity 4)
Cl3 0.131 0.055 0.630 (multiplicity 8)
Cl4 0.140 0.531 0.056 (multiplicity 8)
Cl5 0.224 0.250 0.284 (multiplicity 4)
Cl6 0.239 0.750 0.424 (multiplicity 4)
O1 0.073 0.250 0.881 (multiplicity 4)

The 8 most intense peaks (2θ from 10° to 80°), in order of rising 2θ:
11.18°, intensity 30; 15.24°, intensity 100; 15.64°, intensity 67; 18.77°, intensity 34; 20.45°, intensity 24; 21.91°, intensity 26; 23.23°, intensity 31; 33.45°, intensity 27

***

Record 2
The following is a theoretical powder diffractogram of RePCl6O3. It was derived from a cell relaxed with GGA-PBE, using Cu Kα (λ = 1.5418 Å).

Structural model:
Unit cell a=6.248 b=12.378 c=13.564 alpha=90.00 beta=99.60 gamma=90.00
Space group P2_1/c (No. 14)
Unique sites:
Re1 0.116 0.207 0.001 (multiplicity 4)
P1 0.410 0.098 0.675 (multiplicity 4)
Cl1 0.040 0.185 0.167 (multiplicity 4)
Cl2 0.157 0.664 0.012 (multiplicity 4)
Cl3 0.186 0.034 0.746 (multiplicity 4)
Cl4 0.397 0.023 0.347 (multiplicity 4)
Cl5 0.414 0.696 0.728 (multiplicity 4)
Cl6 0.429 0.114 0.059 (multiplicity 4)
O1 0.039 0.601 0.551 (multiplicity 4)
O2 0.215 0.238 0.401 (multiplicity 4)
O3 0.318 0.150 0.578 (multiplicity 4)

The 8 most intense peaks (2θ from 10° to 80°), in order of rising 2θ:
13.24°, intensity 77; 14.33°, intensity 100; 16.07°, intensity 88; 17.88°, intensity 66; 19.54°, intensity 100; 20.34°, intensity 60; 21.18°, intensity 45; 30.38°, intensity 59

***

Record 3
The following is a theoretical powder diffractogram of PdPb2Se2Cl2O6. It was derived from a cell relaxed with GGA-PBE, using Cu Kα (λ = 1.5418 Å).

Structural model:
Unit cell a=8.308 b=5.284 c=13.085 alpha=90.00 beta=124.41 gamma=90.00
Space group P2_1/c (No. 14)
Unique sites:
Pd1 0.000 0.000 0.000 (multiplicity 2)
Pb1 0.332 0.051 0.805 (multiplicity 4)
Se1 0.288 0.029 0.522 (multiplicity 4)
Cl1 0.058 0.575 0.693 (multiplicity 4)
O1 0.170 0.194 0.579 (multiplicity 4)
O2 0.433 0.239 0.021 (multiplicity 4)
O3 0.439 0.625 0.162 (multiplicity 4)

The 8 most intense peaks (2θ from 10° to 80°), in order of rising 2θ:
19.93°, intensity 33; 21.47°, intensity 31; 25.34°, intensity 76; 26.52°, intensity 35; 27.86°, intensity 34; 28.07°, intensity 100; 30.05°, intensity 42; 33.93°, intensity 31

=====

Entry 1:
Diffraction record for Al2Zn2S5. The X-ray powder pattern is simulated, not measured: it uses a cell relaxed with GGA-PBE and Cu Kα.
Intensities are scaled so that the largest is 100.

```
Al2Zn2S5
1.0
3.671 0.000 0.000
-1.835 3.179 0.000
0.000 0.000 15.159
Al Zn S
2 2 5
Direct
0.333 0.667 0.173
0.667 0.333 0.827
0.333 0.667 0.599
0.667 0.333 0.401
0.000 0.000 0.500
0.333 0.667 0.316
0.333 0.667 0.892
0.667 0.333 0.108
0.667 0.333 0.684
```

Principal peaks in the range 2θ from 10° to 90°, in order of rising 2θ:
23.5°, 3.790 Å, intensity 29.8; 28.1°, 3.179 Å, intensity 35.4; 30.5°, 2.931 Å, intensity 15.6; 33.3°, 2.691 Å, intensity 100.0; 36.9°, 2.435 Å, intensity 41.5; 49.7°, 1.835 Å, intensity 49.8; 51.0°, 1.790 Å, intensity 56.3; 61.1°, 1.516 Å, intensity 19.8; 74.0°, 1.281 Å, intensity 17.7; 82.5°, 1.169 Å, intensity 23.7

Entry 2:
Diffraction record for Al2ZnS4. The X-ray powder pattern is simulated, not measured: it uses a cell relaxed with GGA-PBE and Cu Kα.
Intensities are scaled so that the largest is 100.

```
Al2ZnS4
1.0
1.843 1.064 23.974
-1.843 1.064 23.974
0.000 -2.128 23.974
Al Zn S
4 2 8
Direct
0.000 0.000 0.000
0.116 0.116 0.116
0.283 0.283 0.283
0.834 0.834 0.834
0.396 0.396 0.396
0.564 0.564 0.564
0.053 0.053 0.053
0.346 0.346 0.346
0.433 0.433 0.433
0.513 0.513 0.513
0.600 0.600 0.600